-- Listing --
Below is RePH2 after structural relaxation, with properties calculated at the GGA-PBE level.

abc: 5.1547 5.1547 5.1547
angles: 90.00 90.00 90.00
Closest atoms and distances in Å follow each position.
Space group Fm-3m (No. 225)
Asymmetric unit:
Re1 0.0000 0.0000 0.0000 [4 per cell]  8 H 2.23
P1 0.0000 0.0000 0.5000 [4 per cell]  8 H 2.23
H1 0.2500 0.2500 0.2500 [8 per cell]  4 Re 2.23, 4 P 2.23

Total magnetic moment: 0.000 μB per formula unit
N(E_F): 6.609 states/eV per cell
Density: 10.63 g cm⁻³
DFT total energy: -5.062 eV per atom

=====

Below is RePHS2 after structural relaxation, with properties calculated at the GGA-PBE level.

abc: 4.4201 4.4201 3.2797
angles: 90.00 90.00 90.00
Closest atoms and distances in Å follow each position.
Space group P4/mmm (No. 123)
Asymmetric unit:
Re1 0.0000 0.0000 0.0000 [1 per cell]  2 H 1.64
P1 0.5000 0.5000 0.0000 [1 per cell]  8 S 2.75
H1 0.0000 0.0000 0.5000 [1 per cell]  2 Re 1.64
S1 0.0000 0.5000 0.5000 [2 per cell]  2 H 2.21

Total magnetic moment: 0.000 μB per formula unit
N(E_F): 3.130 states/eV per cell
Density: 7.32 g cm⁻³
DFT total energy: -4.928 eV per atom

=====

Below is RePHS2 after structural relaxation, with properties calculated at the GGA-PBE level.

abc: 4.3515 4.3515 3.1487
angles: 90.00 90.00 90.00
Closest atoms and distances in Å follow each position.
Space group P4/mmm (No. 123)
Asymmetric unit:
Re1 0.0000 0.0000 0.0000 [1 per cell]  8 S 2.69
P1 0.5000 0.5000 0.0000 [1 per cell]  2 H 1.57
H1 0.5000 0.5000 0.5000 [1 per cell]  2 P 1.57
S1 0.0000 0.5000 0.5000 [2 per cell]  2 H 2.18

Total magnetic moment: 0.000 μB per formula unit
N(E_F): 2.430 states/eV per cell
Density: 7.86 g cm⁻³
DFT total energy: -4.986 eV per atom

=====

Below is RePHS2 after structural relaxation, with properties calculated at the GGA-PBE level.

abc: 4.6404 4.6404 4.6658
angles: 90.00 90.00 90.00
Closest atoms and distances in Å follow each position.
Space group P4/mmm (No. 123)
Asymmetric unit:
Re1 0.0000 0.0000 0.0000 [1 per cell]  4 S 2.32, 2 P 2.33
P1 0.0000 0.0000 0.5000 [1 per cell]  2 Re 2.33
H1 0.5000 0.5000 0.5000 [1 per cell]  4 P 3.28, 8 S 3.29
S1 0.0000 0.5000 0.0000 [2 per cell]  2 Re 2.32

Total magnetic moment: 1.029 μB per formula unit
N(E_F): 3.867 states/eV per cell
Density: 4.67 g cm⁻³
DFT total energy: -5.044 eV per atom

=====

Below is ReSi2PH after structural relaxation, with properties calculated at the GGA-PBE level.

abc: 4.7061 4.7061 3.4704
angles: 90.00 90.00 90.00
Closest atoms and distances in Å follow each position.
Space group P4/mmm (No. 123)
Asymmetric unit:
Re1 0.0000 0.0000 0.0000 [1 per cell]  2 H 1.74
Si1 0.0000 0.5000 0.0000 [2 per cell]  2 Re 2.35
P1 0.5000 0.5000 0.5000 [1 per cell]  8 Si 2.92
H1 0.0000 0.0000 0.5000 [1 per cell]  2 Re 1.74

Total magnetic moment: 0.000 μB per formula unit
N(E_F): 4.235 states/eV per cell
Density: 5.93 g cm⁻³
DFT total energy: -5.652 eV per atom

=====

-- Job --
Please copy the whole of the lines further above unchanged.

-- Solution --
Below is RePH2 after structural relaxation, with properties calculated at the GGA-PBE level.

abc: 5.1547 5.1547 5.1547
angles: 90.00 90.00 90.00
Closest atoms and distances in Å follow each position.
Space group Fm-3m (No. 225)
Asymmetric unit:
Re1 0.0000 0.0000 0.0000 [4 per cell]  8 H 2.23
P1 0.0000 0.0000 0.5000 [4 per cell]  8 H 2.23
H1 0.2500 0.2500 0.2500 [8 per cell]  4 Re 2.23, 4 P 2.23

Total magnetic moment: 0.000 μB per formula unit
N(E_F): 6.609 states/eV per cell
Density: 10.63 g cm⁻³
DFT total energy: -5.062 eV per atom

=====

Below is RePHS2 after structural relaxation, with properties calculated at the GGA-PBE level.

abc: 4.4201 4.4201 3.2797
angles: 90.00 90.00 90.00
Closest atoms and distances in Å follow each position.
Space group P4/mmm (No. 123)
Asymmetric unit:
Re1 0.0000 0.0000 0.0000 [1 per cell]  2 H 1.64
P1 0.5000 0.5000 0.0000 [1 per cell]  8 S 2.75
H1 0.0000 0.0000 0.5000 [1 per cell]  2 Re 1.64
S1 0.0000 0.5000 0.5000 [2 per cell]  2 H 2.21

Total magnetic moment: 0.000 μB per formula unit
N(E_F): 3.130 states/eV per cell
Density: 7.32 g cm⁻³
DFT total energy: -4.928 eV per atom

=====

Below is RePHS2 after structural relaxation, with properties calculated at the GGA-PBE level.

abc: 4.3515 4.3515 3.1487
angles: 90.00 90.00 90.00
Closest atoms and distances in Å follow each position.
Space group P4/mmm (No. 123)
Asymmetric unit:
Re1 0.0000 0.0000 0.0000 [1 per cell]  8 S 2.69
P1 0.5000 0.5000 0.0000 [1 per cell]  2 H 1.57
H1 0.5000 0.5000 0.5000 [1 per cell]  2 P 1.57
S1 0.0000 0.5000 0.5000 [2 per cell]  2 H 2.18

Total magnetic moment: 0.000 μB per formula unit
N(E_F): 2.430 states/eV per cell
Density: 7.86 g cm⁻³
DFT total energy: -4.986 eV per atom

=====

Below is RePHS2 after structural relaxation, with properties calculated at the GGA-PBE level.

abc: 4.6404 4.6404 4.6658
angles: 90.00 90.00 90.00
Closest atoms and distances in Å follow each position.
Space group P4/mmm (No. 123)
Asymmetric unit:
Re1 0.0000 0.0000 0.0000 [1 per cell]  4 S 2.32, 2 P 2.33
P1 0.0000 0.0000 0.5000 [1 per cell]  2 Re 2.33
H1 0.5000 0.5000 0.5000 [1 per cell]  4 P 3.28, 8 S 3.29
S1 0.0000 0.5000 0.0000 [2 per cell]  2 Re 2.32

Total magnetic moment: 1.029 μB per formula unit
N(E_F): 3.867 states/eV per cell
Density: 4.67 g cm⁻³
DFT total energy: -5.044 eV per atom

=====

Below is ReSi2PH after structural relaxation, with properties calculated at the GGA-PBE level.

abc: 4.7061 4.7061 3.4704
angles: 90.00 90.00 90.00
Closest atoms and distances in Å follow each position.
Space group P4/mmm (No. 123)
Asymmetric unit:
Re1 0.0000 0.0000 0.0000 [1 per cell]  2 H 1.74
Si1 0.0000 0.5000 0.0000 [2 per cell]  2 Re 2.35
P1 0.5000 0.5000 0.5000 [1 per cell]  8 Si 2.92
H1 0.0000 0.0000 0.5000 [1 per cell]  2 Re 1.74

Total magnetic moment: 0.000 μB per formula unit
N(E_F): 4.235 states/eV per cell
Density: 5.93 g cm⁻³
DFT total energy: -5.652 eV per atom

=====